**Entries**
'''
(1)
Starting from DFT lattice parameters and positions (GGA-PBE), the powder diffractogram of NdGdBr2O2 was computed for copper Kα.
Lines closer than 0.1° are merged.

Principal peaks in the range 2θ from 10° to 90°, by angle:
| 2θ (°) | I/Imax |
| --- | --- |
| 10.56 | 31 |
| 31.23 | 100 |
| 32.24 | 44 |
| 38.92 | 9 |
| 46.24 | 21 |
| 49.33 | 10 |
| 54.93 | 16 |
| 56.86 | 36 |

Structural model:
Unit cell a=3.926 b=3.926 c=8.374 alpha=90.00 beta=90.00 gamma=90.00
Fractional coordinates of all 6 atoms:
Nd: 0.000 0.000 0.000
Gd: 0.500 0.500 0.715
Br: 0.000 0.000 0.522
Br: 0.500 0.500 0.194
O: 0.000 0.500 0.851
O: 0.500 0.000 0.851

(2)
Starting from DFT lattice parameters and positions (GGA-PBE), the powder diffractogram of Ho3Mg3TlAgIr was computed for copper Kα.
Lines closer than 0.1° are merged.

Principal peaks in the range 2θ from 10° to 90°, by angle:
| 2θ (°) | I/Imax |
| --- | --- |
| 12.91 | 47 |
| 22.47 | 58 |
| 32.40 | 100 |
| 34.62 | 35 |
| 35.01 | 99 |
| 39.44 | 44 |
| 42.00 | 47 |
| 63.92 | 31 |

Structural model:
Unit cell a=7.915 b=7.915 c=3.860 alpha=90.00 beta=90.00 gamma=120.00
Fractional coordinates of all 9 atoms:
Ho: 0.099 0.374 0.000
Ho: 0.275 0.901 0.000
Ho: 0.626 0.725 0.000
Mg: 0.412 0.334 0.500
Mg: 0.666 0.079 0.500
Mg: 0.921 0.588 0.500
Tl: 0.000 0.000 0.500
Ag: 0.667 0.333 0.000
Ir: 0.333 0.667 0.500

(3)
Starting from DFT lattice parameters and positions (GGA-PBE), the powder diffractogram of Sc3In2Au was computed for copper Kα.
Lines closer than 0.1° are merged.

Principal peaks in the range 2θ from 10° to 90°, by angle:
| 2θ (°) | I/Imax |
| --- | --- |
| 23.43 | 20 |
| 26.42 | 30 |
| 35.60 | 100 |
| 37.71 | 44 |
| 44.88 | 15 |
| 54.39 | 15 |
| 62.54 | 17 |
| 66.72 | 30 |

Structural model:
Unit cell a=3.374 b=3.374 c=11.388 alpha=90.00 beta=90.00 gamma=90.00
Fractional coordinates of all 6 atoms:
Sc: 0.000 0.000 0.000
Sc: 0.000 0.000 0.351
Sc: 0.000 0.000 0.649
In: 0.500 0.500 0.176
In: 0.500 0.500 0.824
Au: 0.500 0.500 0.500

(4)
Starting from DFT lattice parameters and positions (GGA-PBE), the powder diffractogram of Hf2AgHg3 was computed for copper Kα.
Lines closer than 0.1° are merged.

Principal peaks in the range 2θ from 10° to 90°, by angle:
| 2θ (°) | I/Imax |
| --- | --- |
| 36.58 | 100 |
| 37.50 | 48 |
| 51.27 | 9 |
| 54.08 | 17 |
| 65.23 | 17 |
| 67.06 | 34 |
| 77.74 | 10 |
| 86.88 | 7 |

Structural model:
Unit cell a=3.391 b=3.391 c=10.692 alpha=90.00 beta=90.00 gamma=90.00
Fractional coordinates of all 6 atoms:
Hf: 0.000 0.000 0.000
Hf: 0.500 0.500 0.476
Ag: 0.500 0.500 0.157
Hg: 0.000 0.000 0.311
Hg: 0.000 0.000 0.650
Hg: 0.500 0.500 0.830

(5)
Starting from DFT lattice parameters and positions (GGA-PBE), the powder diffractogram of Tb2Sm2Pb was computed for copper Kα.
Lines closer than 0.1° are merged.

Principal peaks in the range 2θ from 10° to 90°, by angle:
| 2θ (°) | I/Imax |
| --- | --- |
| 21.09 | 16 |
| 29.32 | 38 |
| 30.57 | 100 |
| 37.99 | 36 |
| 40.93 | 36 |
| 51.14 | 17 |
| 57.07 | 22 |
| 68.16 | 20 |

Structural model:
Unit cell a=4.410 b=4.410 c=8.424 alpha=90.00 beta=90.00 gamma=90.00
Fractional coordinates of all 5 atoms:
Tb: 0.000 0.000 0.172
Tb: 0.000 0.000 0.828
Sm: 0.000 0.500 0.500
Sm: 0.500 0.000 0.500
Pb: 0.500 0.500 0.000

(6)
Starting from DFT lattice parameters and positions (GGA-PBE), the powder diffractogram of YHgSO was computed for copper Kα.
Lines closer than 0.1° are merged.

Principal peaks in the range 2θ from 10° to 90°, by angle:
| 2θ (°) | I/Imax |
| --- | --- |
| 17.18 | 73 |
| 20.69 | 81 |
| 21.24 | 73 |
| 26.10 | 72 |
| 30.34 | 96 |
| 30.92 | 100 |
| 34.81 | 69 |
| 35.64 | 70 |

Structural model:
Unit cell a=5.632 b=5.634 c=12.874 alpha=90.00 beta=91.52 gamma=90.00
Fractional coordinates of all 16 atoms:
Y: 0.003 0.000 0.083
Y: 0.496 0.001 0.916
Y: 0.504 0.501 0.084
Y: 0.997 0.500 0.917
Hg: 0.131 0.272 0.496
Hg: 0.498 0.017 0.266
Hg: 0.502 0.517 0.734
Hg: 0.869 0.772 0.504
S: 0.204 0.311 0.240
S: 0.211 0.222 0.756
S: 0.789 0.722 0.244
'''

**Request**
Say how many lines of the rows earlier on hold the word "was", as a bare number.

**Worked solution**
6